Entry 1:
DFT (SCAN) results for Ca3Si3Bi2O12 at its PBEsol-relaxed geometry.

The energy comes out at -0.63377 hartree per atom. The raw formation energy is -2.6973 eV per atom. The density of states at the Fermi level comes out at 0.00 states/eV/f.u.

It has space group Ia-3d (No. 230), with a = 12.689 Å, b = 12.689 Å, c = 12.689 Å, α = 90.00°, β = 90.00° and γ = 90.00°. The asymmetric unit holds Ca at (0.000, 0.250, 0.125), Si at (0.000, 0.250, 0.375), Bi at (0.000, 0.000, 0.000) and O at (0.042, 0.060, 0.668).

Entry 2:
DFT (SCAN) results for YIrS2N at its PBEsol-relaxed geometry.

The energy comes out at -0.88208 hartree per atom. The raw formation energy is 1.4953 eV per atom. The density of states at the Fermi level comes out at 4.03 states/eV/f.u.

It has space group P4/mmm (No. 123), with a = 5.188 Å, b = 5.188 Å, c = 5.335 Å, α = 90.00°, β = 90.00° and γ = 90.00°. The asymmetric unit holds Y at (0.000, 0.000, 0.000), Ir at (0.000, 0.000, 0.500), S at (0.000, 0.500, 0.000) and N at (0.500, 0.500, 0.500).

Entry 3:
DFT (SCAN) results for K2LiCd at its PBEsol-relaxed geometry.

The energy comes out at -0.45246 hartree per atom. As for the energy relative to the elements: 0.05 eV/atom. The density of states at the Fermi level comes out at 2.17 states/eV/f.u.

It has space group F-43m (No. 216), with a = 8.307 Å, b = 8.307 Å, c = 8.307 Å, α = 90.00°, β = 90.00° and γ = 90.00°. The asymmetric unit holds K at (0.000, 0.000, 0.000), K at (0.250, 0.250, 0.250), Li at (0.000, 0.000, 0.500) and Cd at (0.250, 0.250, 0.750).

Entry 4:
DFT (SCAN) results for GeH3Os at its PBEsol-relaxed geometry.

The energy comes out at -0.72389 hartree per atom. The density of states at the Fermi level comes out at 1.65 states/eV/f.u.

It has space group Pm-3m (No. 221), with a = 3.535 Å, b = 3.535 Å, c = 3.535 Å, α = 90.00°, β = 90.00° and γ = 90.00°. The asymmetric unit holds Ge at (0.000, 0.000, 0.000), H at (0.000, 0.500, 0.500) and Os at (0.500, 0.500, 0.500).

Entry 5:
DFT (SCAN) results for Ta2InP at its PBEsol-relaxed geometry.

The energy comes out at -1.61838 hartree per atom. As for the energy relative to the elements: 0.20 eV/atom. The density of states at the Fermi level comes out at 1.81 states/eV/f.u.

It has space group C2/m (No. 12), with a = 5.830 Å, b = 8.313 Å, c = 2.977 Å, α = 90.00°, β = 107.91° and γ = 90.00°. The asymmetric unit holds Ta at (0.250, 0.250, 0.000), In at (0.000, 0.000, 0.500) and P at (0.000, 0.500, 0.500).

Entry 6:
DFT (SCAN) results for KGa2TePd at its PBEsol-relaxed geometry.

The energy comes out at -0.82980 hartree per atom. The raw formation energy is -0.3706 eV per atom. The density of states at the Fermi level comes out at 1.92 states/eV/f.u.

It has space group P4/mmm (No. 123), with a = 4.819 Å, b = 4.819 Å, c = 5.712 Å, α = 90.00°, β = 90.00° and γ = 90.00°. The asymmetric unit holds K at (0.000, 0.000, 0.000), Ga at (0.000, 0.500, 0.500), Te at (0.500, 0.500, 0.000) and Pd at (0.500, 0.500, 0.500).

Entry 7:
DFT (SCAN) results for NaCd3Ni at its PBEsol-relaxed geometry.

The energy comes out at -0.77659 hartree per atom. As for the energy relative to the elements: 1.19 eV/atom. The density of states at the Fermi level comes out at 5.46 states/eV/f.u.

It has space group Pm-3m (No. 221), with a = 5.060 Å, b = 5.060 Å, c = 5.060 Å, α = 90.00°, β = 90.00° and γ = 90.00°. The asymmetric unit holds Na at (0.000, 0.000, 0.000), Cd at (0.000, 0.000, 0.500) and Ni at (0.500, 0.500, 0.500).

Entry 8:
DFT (SCAN) results for Ca3MgCd at its PBEsol-relaxed geometry.

The energy comes out at -0.46992 hartree per atom. As for the energy relative to the elements: 0.09 eV/atom. The density of states at the Fermi level comes out at 5.24 states/eV/f.u.

It has space group Pm-3m (No. 221), with a = 5.831 Å, b = 5.831 Å, c = 5.831 Å, α = 90.00°, β = 90.00° and γ = 90.00°. The asymmetric unit holds Ca at (0.000, 0.000, 0.500), Mg at (0.500, 0.500, 0.500) and Cd at (0.000, 0.000, 0.000).

Entry 9:

It remains to copy all of the material earlier on character by character.

Entry 1:
DFT (SCAN) results for Ca3Si3Bi2O12 at its PBEsol-relaxed geometry.

The energy comes out at -0.63377 hartree per atom. The raw formation energy is -2.6973 eV per atom. The density of states at the Fermi level comes out at 0.00 states/eV/f.u.

It has space group Ia-3d (No. 230), with a = 12.689 Å, b = 12.689 Å, c = 12.689 Å, α = 90.00°, β = 90.00° and γ = 90.00°. The asymmetric unit holds Ca at (0.000, 0.250, 0.125), Si at (0.000, 0.250, 0.375), Bi at (0.000, 0.000, 0.000) and O at (0.042, 0.060, 0.668).

Entry 2:
DFT (SCAN) results for YIrS2N at its PBEsol-relaxed geometry.

The energy comes out at -0.88208 hartree per atom. The raw formation energy is 1.4953 eV per atom. The density of states at the Fermi level comes out at 4.03 states/eV/f.u.

It has space group P4/mmm (No. 123), with a = 5.188 Å, b = 5.188 Å, c = 5.335 Å, α = 90.00°, β = 90.00° and γ = 90.00°. The asymmetric unit holds Y at (0.000, 0.000, 0.000), Ir at (0.000, 0.000, 0.500), S at (0.000, 0.500, 0.000) and N at (0.500, 0.500, 0.500).

Entry 3:
DFT (SCAN) results for K2LiCd at its PBEsol-relaxed geometry.

The energy comes out at -0.45246 hartree per atom. As for the energy relative to the elements: 0.05 eV/atom. The density of states at the Fermi level comes out at 2.17 states/eV/f.u.

It has space group F-43m (No. 216), with a = 8.307 Å, b = 8.307 Å, c = 8.307 Å, α = 90.00°, β = 90.00° and γ = 90.00°. The asymmetric unit holds K at (0.000, 0.000, 0.000), K at (0.250, 0.250, 0.250), Li at (0.000, 0.000, 0.500) and Cd at (0.250, 0.250, 0.750).

Entry 4:
DFT (SCAN) results for GeH3Os at its PBEsol-relaxed geometry.

The energy comes out at -0.72389 hartree per atom. The density of states at the Fermi level comes out at 1.65 states/eV/f.u.

It has space group Pm-3m (No. 221), with a = 3.535 Å, b = 3.535 Å, c = 3.535 Å, α = 90.00°, β = 90.00° and γ = 90.00°. The asymmetric unit holds Ge at (0.000, 0.000, 0.000), H at (0.000, 0.500, 0.500) and Os at (0.500, 0.500, 0.500).

Entry 5:
DFT (SCAN) results for Ta2InP at its PBEsol-relaxed geometry.

The energy comes out at -1.61838 hartree per atom. As for the energy relative to the elements: 0.20 eV/atom. The density of states at the Fermi level comes out at 1.81 states/eV/f.u.

It has space group C2/m (No. 12), with a = 5.830 Å, b = 8.313 Å, c = 2.977 Å, α = 90.00°, β = 107.91° and γ = 90.00°. The asymmetric unit holds Ta at (0.250, 0.250, 0.000), In at (0.000, 0.000, 0.500) and P at (0.000, 0.500, 0.500).

Entry 6:
DFT (SCAN) results for KGa2TePd at its PBEsol-relaxed geometry.

The energy comes out at -0.82980 hartree per atom. The raw formation energy is -0.3706 eV per atom. The density of states at the Fermi level comes out at 1.92 states/eV/f.u.

It has space group P4/mmm (No. 123), with a = 4.819 Å, b = 4.819 Å, c = 5.712 Å, α = 90.00°, β = 90.00° and γ = 90.00°. The asymmetric unit holds K at (0.000, 0.000, 0.000), Ga at (0.000, 0.500, 0.500), Te at (0.500, 0.500, 0.000) and Pd at (0.500, 0.500, 0.500).

Entry 7:
DFT (SCAN) results for NaCd3Ni at its PBEsol-relaxed geometry.

The energy comes out at -0.77659 hartree per atom. As for the energy relative to the elements: 1.19 eV/atom. The density of states at the Fermi level comes out at 5.46 states/eV/f.u.

It has space group Pm-3m (No. 221), with a = 5.060 Å, b = 5.060 Å, c = 5.060 Å, α = 90.00°, β = 90.00° and γ = 90.00°. The asymmetric unit holds Na at (0.000, 0.000, 0.000), Cd at (0.000, 0.000, 0.500) and Ni at (0.500, 0.500, 0.500).

Entry 8:
DFT (SCAN) results for Ca3MgCd at its PBEsol-relaxed geometry.

The energy comes out at -0.46992 hartree per atom. As for the energy relative to the elements: 0.09 eV/atom. The density of states at the Fermi level comes out at 5.24 states/eV/f.u.

It has space group Pm-3m (No. 221), with a = 5.831 Å, b = 5.831 Å, c = 5.831 Å, α = 90.00°, β = 90.00° and γ = 90.00°. The asymmetric unit holds Ca at (0.000, 0.000, 0.500), Mg at (0.500, 0.500, 0.500) and Cd at (0.000, 0.000, 0.000).

Entry 9: